Karu Jayasuriya the grand old man of the Sri Lankan right-of-centre old-brigade — acknowledging that this is a somewhat vague and needlessly long label — is at his ardent nation building best once more. He has said something to the effect that we Sri Lankans should leave our differences aside and come together.
Sometimes though half in jest, we wonder what those differences are when the people think that all politicians get together and try to dupe the citizenry (and there are better words to replace dupe here, but they cannot be used in print.)
So is Karu Jayasuriya not very sincere when he says we need to come together when it’s a time of crisis? Well, yes and no perhaps, but what kind of observation is that? Do we need to be continued to be duped by politicians of all hues?
The point is that there is political self-interest, and all politicians have it. The duping comes when all ethics and anything that’s positive is subsumed in the pursuit of power. It’s always or almost always power for power’s sake.
The text is interrupted by calculated molecules >
-- begin --
The following is a DFT calculation (the ωB97M-V functional and the def2-TZVPD basis) of a single C3H8N2S molecule.

Results
* SMILES string: C/C(CS)=N/N
* LUMO energy: 0.9 eV
* Kohn-Sham gap: 9.667 eV

Structure (ORCA input):
```
! RIJCOSX wB97M-V def2-TZVPD def2/J DEFGRID3
* xyz 0 1
C 1.84119 -1.30896 -0.18222
C 0.96464 -0.18945 0.03540
C -0.35298 -0.65254 0.69889
H 1.16866 -2.18919 -0.74726
H 2.12532 -1.71935 0.79537
H 2.58555 -1.20080 -1.02956
H -0.25461 -1.76074 0.88143
H -0.55638 -0.34525 1.71389
H -1.72108 0.69744 -1.08541
H 0.51790 2.94095 -0.01321
H 0.33561 1.64992 1.21141
N 1.28673 1.02310 -0.31773
N 0.16952 1.91892 0.12809
S -1.81949 -0.36010 -0.23197
*
```

=====

The following is a DFT calculation (the ωB97M-V functional and the def2-TZVPD basis) of a single C3H8N2S2 molecule.

Results
* SMILES string: NCCN(S)C=S
* LUMO energy: 0.6 eV
* Kohn-Sham gap: 9.135 eV

Structure (ORCA input):
```
! RIJCOSX wB97M-V def2-TZVPD def2/J DEFGRID3
* xyz 0 1
C -1.40730 -0.64969 -0.28489
C -0.36874 -0.36548 0.82624
C 1.93361 -0.55919 0.03924
H -1.10140 0.89820 -1.63114
H -2.19730 1.22392 -0.47406
H -2.26746 -1.12251 0.19274
H -0.97985 -1.38510 -0.98401
H -0.79393 0.31149 1.56553
H -0.13051 -1.32384 1.35341
H 2.22865 2.03605 0.30600
H 1.75323 -1.60030 0.25521
N -1.85067 0.49083 -1.06741
N 0.87347 0.20264 0.31757
S 0.89343 1.92031 0.09162
S 3.41476 -0.07733 -0.50605
*
```

=====

The following is a DFT calculation (the ωB97M-V functional and the def2-TZVPD basis) of a gas-phase ion, C3H8N3 (charge +1).

Results
* SMILES string: NC1=N[NH2+]CC1
* LUMO energy: -3.4 eV
* Kohn-Sham gap: 10.951 eV

Structure (ORCA input):
```
! RIJCOSX wB97M-V def2-TZVPD def2/J DEFGRID3
* xyz 1 1
C -0.91217 0.15341 0.00755
C 0.04111 -1.01892 0.15525
C 1.39953 -0.34496 -0.20059
N -0.33921 1.29256 0.01778
N -2.21977 -0.00212 -0.14573
N 1.07315 1.13971 0.07109
H 0.11035 -1.33286 1.11760
H -0.28737 -1.87647 -0.58013
H 2.19631 -0.79237 0.20899
H 1.56817 -0.53011 -1.23944
H -2.64670 -0.76012 0.42739
H -2.89866 0.68924 -0.35636
H 1.50231 1.45348 1.06064
H 1.41296 1.92953 -0.54402
*
```

=====

The following is a DFT calculation (the ωB97M-V functional and the def2-TZVPD basis) of a gas-phase ion, C3H8N3 (charge +1).

Results
* SMILES string: NC(=[NH2+])N1CC1
* LUMO energy: -3.2 eV
* Kohn-Sham gap: 11.888 eV

Structure (ORCA input):
```
! RIJCOSX wB97M-V def2-TZVPD def2/J DEFGRID3
* xyz 1 1
C 0.80085 0.15614 0.11128
C -1.55099 -0.90974 -0.00590
C -1.71287 0.56992 0.00133
N -0.45937 -0.04695 0.29766
N 1.38347 1.33550 0.05785
N 1.80876 -1.08600 0.09923
H -1.94662 -1.47729 0.82836
H -1.52311 -1.44247 -0.95089
H -1.79326 1.10625 -0.93762
H -2.22434 1.03873 0.83331
H 0.85441 2.18826 0.16617
H 2.38870 1.39219 0.10085
H 1.33749 -1.93618 -0.15972
H 2.63689 -0.88836 -0.44191
*
```

=====

The following is a DFT calculation (the ωB97M-V functional and the def2-TZVPD basis) of a gas-phase ion, C3H8N3 (charge +1).

Results
* SMILES string: C=[NH+]CN1CN1
* LUMO energy: -4.8 eV
-- stop --
The calculated molecules stop here >
If Karu Jayasuriya means that it’s this tendency that needs to be kept in check then he is right. But if he means that all politics needs to be kept non-contentious because we are facing some tough circumstances, he couldn’t be more wrong.
It’s a fine balance yes, but he says there should be a ceasefire and the need not to lapse into anarchy or words to that effect. But ceasefires mean that aggressors regroup, and Karu Jayasuriya would remember that.
The country should unite in the face of the external enemy and this has always been the case with neighbouring countries India and Pakistan for instance. But there is no external enemy that we are facing could be the argument in that context.
Maybe we aren’t facing external foes, but though there is no such external enemy in any defined shape or form, the economic battles we are facing are an ‘external enemy’ of sorts. Or to be more accurate it’s a common enemy we are fighting, and what happened to when we used to fight the common enemy, to paraphrase a U.S. TV host Smerconish?
But the system never really united to fight a common enemy and this was probably true even when we were trying to get rid of the coloniser. This is probably the first time this country is faced with a common enemy, albeit a vaguely defined one which is not a physical enemy but an enemy nonetheless in the form of a tanking economy.
So yes if our neighbouring countries have given glittering examples of uniting in the face of a common enemy, why can’t we do it without declaring a ceasefire as Karu Jayasuriya states? That may sound oxymoronic to the reader. A ceasefire-less unity?
But it shouldn’t be as bad as it sounds because the country can unite against politicians of all hues, with the intention of keeping them all in check. This makes sense because if all of them are equally power hungry, all of them are equally culpable.
That’s not to advocate a people’s revolt against the entire system but the people can unite to keep all politicians to account, especially insofar as their narrow political motives are concerned.
But does that mean that all political activity should cease or that ‘disruptive’ political activity should cease? Who decides disruptive in that case? It’s this writer’s understanding that Jayasuriya has said that political activity or any other activity that leads towards anarchy should cease.
Healthy political contestation includes legitimate protest activity and due to various reasons if this activity deteriorates into a situation of confrontation, could that be labeled anarchy?
Probably not should be the answer. Unless there is activity that is initiated with the specific intent of causing anarchy, it’s not anarchic activity and that ought to be axiomatic.
There should be no sabotaging of economic activity and that’s where unity comes into play. Some would say that there was disunity when we faced the war for instance, but that was not a common enemy in the sense of the common enemy we are facing today.
[Someone pasted data records at this point]
<P>
Formula: C3H12O2S2
Source: the Open Molecules 2025 dataset
Level of theory: wB97M-V/def2-TZVPD

HOMO-LUMO gap = 8.53 eV
SMILES string = CCSSC.O.O
HOMO energy = -8.0117 eV
2S+1 = 1

XYZ file:
```
19
C3H12O2S2, DFT wB97M-V/def2-TZVPD
C 0.121 -2.321 -1.021
C 0.389 -1.585 0.283
S -1.017 -0.413 0.528
S -0.822 0.177 2.553
C 0.972 0.048 2.910
H 0.967 -2.984 -1.209
H -0.796 -2.880 -0.872
H -0.012 -1.621 -1.842
H 1.273 -0.976 0.308
H 0.336 -2.241 1.142
H 1.192 -1.011 2.903
H 1.134 0.422 3.932
H 1.469 0.714 2.209
H -2.422 1.225 -2.823
H -1.578 1.634 -1.657
O -1.485 1.290 -2.562
H -0.314 3.067 -2.117
H 0.134 3.971 -0.950
O 0.458 3.486 -1.712
```

***

<Q>
Formula: C3H12O2S2
Source: the Open Molecules 2025 dataset
Level of theory: wB97M-V/def2-TZVPD

HOMO-LUMO gap = 9.01 eV
SMILES string = CCCSS.O.O
HOMO energy = -8.5446 eV
2S+1 = 1

XYZ file:
```
19
C3H12O2S2, DFT wB97M-V/def2-TZVPD
C -0.190 1.962 0.349
C 0.956 2.691 -0.317
C 0.159 0.433 0.395
S -1.161 -0.724 0.999
S -0.232 -2.474 1.514
H -0.412 2.354 1.388
H -1.096 2.043 -0.172
H 1.966 2.733 0.129
H 0.606 3.796 -0.614
H 0.946 2.222 -1.335
H 0.494 0.021 -0.550
H 0.761 0.276 1.304
H -1.042 -3.138 0.634
H 5.778 -0.911 -3.229
H 6.744 0.059 -3.961
O 5.938 -0.312 -3.983
H -4.115 1.626 -1.116
H -4.121 1.754 0.156
O -4.660 1.290 -0.442
```

***

Which structure is most stable, and how do the rest compare? From most to least stable: <P>, <Q>.

=====

1.
A structure of composition F18InP3. Source: OMol25; level of theory: ωB97M-V with the def2-TZVPD basis set.

Energy above the lowest of the compared OMol25 structures with the same formula, charge and spin, kJ/mol: 298.04
Kohn-Sham gap, eV: 7.04
Strongest force on any atom, eV/A: 9.94

Structure (ORCA input):
```
! RIJCOSX wB97M-V def2-TZVPD def2/J DEFGRID3
* xyz 0 1
In -0.984 -0.140 0.645
P 0.000 2.327 2.041
F 0.960 1.146 1.549
F 0.883 3.456 1.306
F -0.833 2.080 0.672
F -1.197 3.316 2.562
F -0.866 1.048 2.650
F 0.831 2.613 3.417
P 1.296 0.299 -1.158
F 2.268 -0.828 -1.813
F 1.151 1.044 -2.624
F -0.055 -0.524 -1.444
F 0.306 1.315 -0.420
F 1.380 -0.580 0.203
F 2.591 1.242 -0.829
P -1.098 -2.579 -0.946
F -0.059 -2.344 -2.253
F -1.691 -0.999 -1.144
F -2.405 -3.154 -1.763
F -2.069 -2.672 0.242
F -0.515 -4.110 -0.867
F 0.106 -1.957 -0.025
*
```

Atomic partial charges in e from the Mulliken method, atoms 1 to 2:
1 In 2.0848
2 P 1.2612

***

2.
A cluster of 2 separate species, C8H10Se in total. Source: OMol25; level of theory: ωB97M-V with the def2-TZVPD basis set.

SMILES: c1ccccc1.CC=[Se]
Energy above the lowest of the compared OMol25 structures with the same formula, charge and spin, kJ/mol: 90.04
Kohn-Sham gap (alpha / beta), eV: 7.86 / 7.86
Strongest force on any atom, eV/A: 4.92

Structure (ORCA input):
```
! RIJCOSX wB97M-V def2-TZVPD def2/J DEFGRID3
* xyz 0 1
C 1.879 0.171 -0.036
C 1.798 -1.163 0.137
C 0.733 -1.828 -0.484
C 0.022 -1.119 -1.448
C 0.281 0.287 -1.755
C 1.104 0.913 -0.845
H 2.688 0.699 0.379
H 2.525 -1.691 0.821
H 0.534 -2.925 -0.468
The war was part a country fighting itself even though labels such as civil-war are generally eschewed.
The common enemy that’s faced today — an economy that tanked — is incontrovertibly common to all. Uniting in the face of such a common enemy is basic, but that does not mean that anybody has signed on to unite or prostate before any Government be it today’s, tomorrow’s or the next decade’s regime.
So the answer to Karu Jayasuriya’s question ‘should there be a ceasefire?’ is that it’s largely irrelevant. Certainly we should not cease our fire against the common enemy the tanked economy, and its quite certain that Karu Jayasuriya didn’t mean that.
There is no other firing going on to call for a ceasefire. If there is anarchic activity of any sort the Government is seen to deploy its forces, so what’s the problem? Under no circumstances is a supine and totally prostate citizenry a good thing, no matter what kind of common enemy we are fighting.
There is no National Government in the face of the common enemy that we are engaging, but that does not mean there should not be national unity.
[Data records that have nothing to do with the piece]
- - -
1.
{
  "formula": "C10H19GaNO8S",
  "method": "ωB97M-V/def2-TZVPD",
  "species": ["N", "C", "O", "Ga", "S", "C", "C", "C", "O", "H", "H", "H", "H", "H", "H", "H", "C", "O", "C", "O", "O", "C", "H", "H", "H", "H", "H", "H", "C", "O", "C", "O", "O", "C", "H", "H", "H", "H", "H", "H"],
  "positions_angstrom": [[-1.639, -4.584, 4.280], [-1.532, -3.600, 4.989], [-1.393, -2.282, 5.479], [-1.928, -1.042, 4.091], [-0.467, 0.737, 3.878], [-3.799, -0.260, 4.438], [-4.965, -1.449, 3.986], [-6.000, -1.897, 5.232], [-6.408, -0.982, 3.981], [-1.844, -1.879, 2.707], [0.488, 0.690, 4.882], [-4.058, 0.675, 3.834], [-4.043, -0.177, 5.557], [-4.618, -2.307, 3.219], [-6.157, -1.055, 5.980], [-6.569, -2.880, 5.171], [-0.094, 0.416, 0.229], [1.013, 0.763, -0.611], [1.238, 2.082, -0.712], [0.603, 2.954, -0.172], [2.299, 2.265, -1.524], [2.653, 3.632, -1.722], [-0.181, -0.671, 0.236], [0.078, 0.754, 1.253], [-1.023, 0.834, -0.167], [2.933, 4.099, -0.775], [1.834, 4.178, -2.195], [3.516, 3.659, -2.389], [4.982, -1.023, -6.702], [4.212, -1.212, -5.518], [3.338, -0.220, -5.264], [3.173, 0.768, -5.939], [2.685, -0.522, -4.132], [1.717, 0.451, -3.735], [5.649, -1.880, -6.807], [4.334, -0.980, -7.581], [5.590, -0.119, -6.627], [0.938, 0.551, -4.496], [2.194, 1.411, -3.542], [1.253, 0.105, -2.812]],
  "mulliken_charge": [-0.552, 0.502, -0.429, 0.415, -0.494, -0.722, 0.158, -0.574, -0.449, -0.270, 0.067, 0.295, 0.287, 0.263, 0.288, 0.249, -0.503, -0.277, 0.728, -0.535, -0.291, -0.733, 0.233, 0.121, 0.325, 0.331, 0.318, 0.226, -0.625, -0.314, 0.778, -0.548, -0.314, -0.441, 0.218, 0.286, 0.284, 0.324, 0.215, 0.161],
  "homo_energy_ev": -5.3,
  "energy_ev": -91757.95420,
  "total_charge": -1
}



2.
{
  "formula": "C10H19INO8S",
  "method": "ωB97M-V/def2-TZVPD",
  "species": ["O", "C", "O", "C", "N", "S", "I", "H", "H", "H", "C", "C", "O", "C", "O", "O", "C", "H", "H", "H", "H", "H", "H", "H", "H", "C", "C", "O", "C", "O", "O", "C", "H", "H", "H", "H", "H", "H", "H", "H"],
  "positions_angstrom": [[1.429, 5.956, 4.184], [1.918, 4.806, 4.164], [2.563, 4.244, 5.029], [1.621, 3.999, 2.863], [2.918, 3.394, 2.383], [3.953, 4.742, 1.943], [2.471, 2.208, 0.738], [0.906, 3.207, 3.044], [1.281, 4.700, 2.108], [4.270, 4.524, 0.652], [-2.843, -0.258, -2.594], [-1.913, 0.825, -2.092], [-2.496, 1.576, -1.016], [-2.499, 0.958, 0.161], [-2.057, -0.139, 0.377], [-3.081, 1.757, 1.051], [-3.216, 1.187, 2.353], [-3.810, 0.169, -2.869], [-2.413, -0.754, -3.463], [-3.022, -1.008, -1.826], [-1.723, 1.549, -2.883], [-0.952, 0.414, -1.783], [-2.259, 0.832, 2.727], [-3.940, 0.372, 2.333], [-3.583, 1.975, 3.004], [1.767, -4.240, -3.463], [1.150, -4.991, -2.302], [1.502, -4.408, -1.044], [0.844, -3.287, -0.732], [-0.010, -2.765, -1.401], [1.298, -2.857, 0.436], [0.732, -1.608, 0.869], [2.848, -4.163, -3.335], [1.558, -4.753, -4.403], [1.373, -3.227, -3.529], [1.537, -6.009, -2.272], [0.066, -5.053, -2.396], [-0.352, -1.648, 0.879], [1.075, -0.800, 0.226], [1.088, -1.425, 1.879]],
- - -
Maintaining public order on the other hand is the job of the Government in power, and staving off anarchy is part of that job description. But there is no temporary suspension of democracy when there is no war on and there is no need for a ceasefire when there is no war on either.
Of course there were political parties in this country which tried to paralyse the State apparatus in the South of the country when a war was being fought and had reached the last stages. There were strikes that threatened to sabotage the war effort because strife in the South would have meant destabilisation which may have hindered the war effort and perhaps even caused the diversion of troops from the theatre of war to keep the peace elsewhere.
Of course the spirit of rebuilding and recovery is a different matter. Some may say that certain political actors are acting contrary to that spirit of a united recovery, no matter what they seem to be doing in a technical sense i.e. in parliament and so on.
We may have as a country never had that spirit of coming together as it has been in Pakistan and India. We haven’t had a common external enemy to put that to the test anyway. The ‘economic enemy’ which is not defined in physical terms is not that kind of enemy, enemy though it is. But there are only friendly countries in that battle, and no identifiable foes.
There is no national brains trust that’s working together to get the economic issues under control, and even when there were calls to political parties to unite in such an effort, the response was rather lukewarm. You could say the horse can be brought to the water but cannot be made to drink.
Perhaps to be honest our ‘unity’ and our national spirit of togetherness in adversity may operate within limits, but governments in power have often contributed to that. Governments in power cannot use unity as a device to rule in perpetuity or consolidate personal powers. So Sri Lanka will function within its own familiar realities and there will be fierce political contestation and that is democracy. Besides that the courts of law function and nobody can call the courts to ‘cease-fire’, whatever that means in a legal context.
We need to consolidate economic gains and the business community is up to it. No doubt they need the appropriately peaceful circumstances in which to do their job i.e: thrive and make recovery a reality. Governments can do that job without suspending democracy or even appearing to do so while making national security a top priority as well.